
TYPO3 v8 has reached its end-of-life March 31st, 2020 and is not maintained by the community anymore. Looking for a stable version? Use the version switch on the top left.

There is no further ELTS support. It is recommended that you upgrade your project and use a supported version of TYPO3.


Whenever a call to TYPO3 CMS is made, the application goes through a bootstrapping process managed by a dedicated API. This process is also used in the frontend, but only the backend process is described here.

Classes involved in the backend bootstrapping process are \TYPO3\CMS\Core\Core\Bootstrap and TYPO3\CMS\Backend\Http\Application.

The following steps are performed during bootstrapping.

1. Define legacy constants

In Application::defineLegacyConstants some constants are defined, which will eventually be dropped, but are still initialized for now.

2. Initialize class loader

This defines which autoloader to use.

3. Set request type

The request type is set - this defines whether the current request is a frontend, backend, cli, ajax or install tool request. (see defineTypo3RequestTypes).

4. Perform base setup

An instance of \TYPO3\CMS\Core\Core\SystemEnvironmentBuilder is created. This class in turn defines a large number of constants and global variables. If you want to have an overview of these base values, it is worth taking a look into the following methods:

  • SystemEnvironmentBuilder::defineBaseConstants() defines constants containing values such as the current version number, blank character codes and error codes related to services.

  • SystemEnvironmentBuilder::definePaths() defines constants containing paths to various parts of the TYPO3 installation like the absolute path to the typo3 directory or the absolute path to the installation root.

  • SystemEnvironmentBuilder::checkMainPathsExist() checks if expected paths like typo3 or index.php exist. If that is not the case, the process will quit immediately.

  • SystemEnvironmentBuilder::initializeGlobalVariables() sets some global variables as empty arrays.

  • SystemEnvironmentBuilder::initializeGlobalTimeTrackingVariables() defines special variables which contain, for example, the current time or a simulated time as may be set using the Admin Panel.

  • SystemEnvironmentBuilder::initializeBasicErrorReporting() sets up default error reporting level during the bootstrapping process.

5. Define class loading information

This part of the process all the information available to be able to determine where to load classes from, including class alias maps which are used to map legacy class names to new class names.

6. Check essential configuration

In this step we check if crucial configuration elements have been set. If that is not the case, the installation is deemed incomplete and the user is redirected to the Install Tool.

7. Register request handlers

The backend recognizes various request handlers, one to handle general requests, one for backend module requests, one for cli requests and one for AJAX requests.

8. More configuration

____________
# CsHgCl3 (PBE, relaxed)
# Energy of formation, eV/atom: -1.524
# Space-group type: Pm-3m, No. 221
# E (MP2020), eV per atom: -2.87
# Total moment, μB per formula unit: 0.00
# Crystal system: cubic
data_CsHgCl3
_chemical_formula_sum 'Cs1 Hg1 Cl3'
_symmetry_space_group_name_H-M 'P 1'
_symmetry_Int_Tables_number 1
_symmetry_space_group_name_Hall 'P 1'
_cell_length_a 5.403
_cell_length_b 5.403
_cell_length_c 5.403
_cell_angle_alpha 90.00
_cell_angle_beta 90.00
_cell_angle_gamma 90.00
loop_
_atom_site_label
_atom_site_type_symbol
_atom_site_fract_x
_atom_site_fract_y
_atom_site_fract_z
Cs1 Cs 0.000 0.000 0.000
Hg1 Hg 0.500 0.500 0.500
Cl1 Cl 0.000 0.500 0.500
Cl2 Cl 0.500 0.000 0.500
Cl3 Cl 0.500 0.500 0.000


# NaPrSe2O10 (PBE, relaxed)
# Energy of formation, eV/atom: -1.407
# Space-group type: P2_1/c, No. 14
# E (MP2020), eV per atom: -5.88
# Total moment, μB per formula unit: 4.00
# Crystal system: monoclinic
data_NaPrSe2O10
_chemical_formula_sum 'Na4 Pr4 Se8 O40'
_symmetry_space_group_name_H-M 'P 1'
_symmetry_Int_Tables_number 1
_symmetry_space_group_name_Hall 'P 1'
_cell_length_a 11.392
_cell_length_b 7.239
_cell_length_c 11.245
_cell_angle_alpha 90.00
_cell_angle_beta 110.85
_cell_angle_gamma 90.00
loop_
_atom_site_label
_atom_site_type_symbol
_atom_site_fract_x
_atom_site_fract_y
_atom_site_fract_z
Na1 Na 0.129 0.144 0.463
Na2 Na 0.129 0.356 0.963
Na3 Na 0.871 0.644 0.037
Na4 Na 0.871 0.856 0.537
Pr1 Pr 0.251 0.615 0.666
Pr2 Pr 0.251 0.885 0.166
Pr3 Pr 0.749 0.115 0.834
Pr4 Pr 0.749 0.385 0.334
Se1 Se 0.053 0.653 0.360
Se2 Se 0.053 0.847 0.860
Se3 Se 0.394 0.128 0.720
Se4 Se 0.394 0.372 0.220
Se5 Se 0.606 0.628 0.780
Se6 Se 0.606 0.872 0.280
Se7 Se 0.947 0.153 0.140
Se8 Se 0.947 0.347 0.640
O1 O 0.072 0.679 0.968
O2 O 0.072 0.821 0.468
O3 O 0.100 0.106 0.215
O4 O 0.100 0.394 0.715
O5 O 0.110 0.704 0.247
O6 O 0.110 0.796 0.747
O7 O 0.128 0.026 0.949
O8 O 0.128 0.474 0.449
O9 O 0.296 0.039 0.382
O10 O 0.296 0.461 0.882
O11 O 0.307 0.561 0.162
O12 O 0.307 0.939 0.662
O13 O 0.309 0.201 0.132
O14 O 0.309 0.299 0.632
O15 O 0.381 0.698 0.522
O16 O 0.381 0.802 0.022
O17 O 0.414 0.162 0.877
O18 O 0.414 0.338 0.377
O19 O 0.470 0.609 0.800
O20 O 0.470 0.891 0.300
O21 O 0.530 0.109 0.700
O22 O 0.530 0.391 0.200
O23 O 0.586 0.662 0.623
O24 O 0.586 0.838 0.123
O25 O 0.619 0.198 0.978
O26 O 0.619 0.302 0.478
O27 O 0.691 0.701 0.368
O28 O 0.691 0.799 0.868
O29 O 0.693 0.061 0.338
O30 O 0.693 0.439 0.838
O31 O 0.704 0.539 0.118
O32 O 0.704 0.961 0.618
O33 O 0.872 0.526 0.551
O34 O 0.872 0.974 0.051
O35 O 0.890 0.204 0.253
O36 O 0.890 0.296 0.753
O37 O 0.900 0.606 0.285
O38 O 0.900 0.894 0.785
O39 O 0.928 0.179 0.532
O40 O 0.928 0.321 0.032


# Cd27Pd8 (PBE, relaxed)
# Energy of formation, eV/atom: -0.016
# Space-group type: Cmc2_1, No. 36
# Total moment, μB per formula unit: 0.02
# Crystal system: orthorhombic
data_Cd27Pd8
_chemical_formula_sum 'Cd54 Pd16'
_symmetry_space_group_name_H-M 'P 1'
_symmetry_Int_Tables_number 1
_symmetry_space_group_name_Hall 'P 1'
____________

Next Bootstrap::configure() is called which in turn triggers a whole new series of configuration. This is actually a major step, with too many actions to detail efficiently here. However here is the list of the most important stuff happening at this point:

  • the main configuration ("TYPO3_CONF_VARS") is loaded

  • the Caching Framework and the Package Management are set up

**These calculated crystals were left in the page by mistake**
PrPaO4: relaxed, PBE.

Structure (POSCAR):
```
PrPaO4
1.0
-2.7745 2.7745 5.4629
2.7745 -2.7745 5.4629
2.7745 2.7745 -5.4629
Pr Pa O
2 2 8
Direct
0.3750 0.6250 0.7500 Pr
0.6250 0.3750 0.2500 Pr
0.1250 0.8750 0.2500 Pa
0.8750 0.1250 0.7500 Pa
0.0000 0.2285 0.2285 O
0.0000 0.7715 0.7715 O
0.2285 0.0000 0.7285 O
0.2285 0.5000 0.2285 O
0.5000 0.2285 0.7285 O
0.5000 0.7715 0.2715 O
0.7715 0.0000 0.2715 O
0.7715 0.5000 0.7715 O
```

Values from the calculation:
energy: -111.75 eV per cell
energy relative to the elements: -4089 meV/atom
mass density: 8.61 g/cm³
volume: 168.2 Å³ per cell


Na6Mg2Si5Sn6S7O48 | PBE | relaxed

The structure in CIF format:
```
data_Na6Mg2Si5Sn6S7O48
_cell_length_a 8.892
_cell_length_b 15.249
_cell_length_c 22.953
_cell_angle_alpha 89.86
_cell_angle_beta 89.79
_cell_angle_gamma 89.99
_space_group_name_H-M_alt 'P 1'
_space_group_IT_number 1
loop_
_space_group_symop_operation_xyz
'x,y,z'
loop_
_atom_site_label
_atom_site_fract_x
_atom_site_fract_y
_atom_site_fract_z
Na1 0.000 0.000 0.000
Na2 0.000 0.326 0.834
Na3 0.002 0.665 0.673
Na4 0.010 0.657 0.166
Na5 0.135 0.506 0.748
Na6 0.171 0.809 0.747
Na7 0.335 0.309 0.250
Na8 0.373 0.005 0.251
Na9 0.499 0.156 0.661
Na10 0.506 0.164 0.178
Na11 0.507 0.503 0.499
Na12 0.512 0.503 0.013
Na13 0.518 0.824 0.338
Na14 0.518 0.834 0.832
Na15 0.697 0.676 0.750
Na16 0.811 0.174 0.253
Na17 0.990 0.336 0.334
Na18 0.994 0.995 0.509
Mg1 0.000 0.999 0.154
Mg2 0.001 0.663 0.810
Mg3 0.506 0.162 0.311
Mg4 0.509 0.501 0.651
Mg5 0.516 0.497 0.145
Mg6 0.993 0.994 0.642
Si1 0.147 0.182 0.584
Si2 0.150 0.140 0.249
Si3 0.207 0.164 0.917
Si4 0.299 0.662 0.417
Si5 0.356 0.643 0.747
Si6 0.362 0.682 0.084
Si7 0.642 0.354 0.249
Si8 0.650 0.014 0.920
Si9 0.652 0.974 0.582
Si10 0.710 0.993 0.247
Si11 0.797 0.491 0.748
Si12 0.854 0.473 0.082
Si13 0.859 0.513 0.420
Si14 0.860 0.814 0.416
Si15 0.863 0.854 0.749
Sn1 0.005 0.329 0.482
Sn2 0.005 0.661 0.324
Sn3 0.007 0.665 0.513
Sn4 0.008 0.328 0.983
Sn5 0.014 0.659 0.023
Sn6 0.494 0.157 0.522
Sn7 0.497 0.157 0.819
Sn8 0.497 0.159 0.017
Sn9 0.504 0.829 0.983
Sn10 0.507 0.824 0.186
Sn11 0.513 0.828 0.479
Sn12 0.516 0.501 0.846
Sn13 0.516 0.834 0.685
Sn14 0.518 0.499 0.356
Sn15 0.987 0.996 0.350
Sn16 0.991 0.998 0.855
Sn17 0.992 0.335 0.189
Sn18 0.998 0.327 0.683
S1 0.147 0.846 0.249
S2 0.149 0.806 0.917
S3 0.154 0.479 0.585
S4 0.157 0.516 0.915
S5 0.213 0.827 0.584
S6 0.215 0.501 0.250
S7 0.291 0.999 0.750
S8 0.301 0.327 0.085
S9 0.353 0.018 0.415
S10 0.353 0.977 0.085
S11 0.360 0.306 0.417
S12 0.362 0.347 0.751
S13 0.648 0.312 0.917
S14 0.656 0.679 0.583
S15 0.657 0.641 0.250
S16 0.705 0.332 0.583
S17 0.715 0.661 0.918
S18 0.792 0.163 0.418
S19 0.801 0.832 0.083
S20 0.852 0.143 0.751
S21 0.852 0.179 0.083
O1 0.060 0.103 0.308
O2 0.068 0.228 0.526
O3 0.073 0.242 0.242
O4 0.078 0.087 0.591
O5 0.079 0.757 0.255
O6 0.079 0.767 0.971
O7 0.080 0.566 0.580
O8 0.083 0.440 0.639
O9 0.085 0.428 0.921
O10 0.085 0.887 0.197
O11 0.085 0.896 0.914
O12 0.091 0.557 0.863

  • all configuration items from extensions are loaded

  • the database connections is established

9. Dispatch

After all that the Application::run() method is called, which basically dispatches the request to the right handler.

-- Someone pasted calculated crystals at this point --
********
NdY3: optimized geometry, PBE-GGA.

Structure (POSCAR):
```
NdY3
1.0
3.665 -6.348 0.000
3.665 6.348 0.000
0.000 0.000 5.816
Nd Y
2 6
Direct
0.667 0.333 0.250
0.333 0.667 0.750
0.834 0.166 0.750
0.332 0.166 0.750
0.834 0.668 0.750
0.166 0.834 0.250
0.668 0.834 0.250
0.166 0.332 0.250
```

Computed properties:
Formation energy from the elements (eV per atom): 0.0134
E_tot (eV per atom): -6.029

* * * * *

#A
First-principles (GGA+U) data for a relaxed Mn4O7F crystal, as listed in the Materials Project.

abc: 6.706 5.498 6.656
angles: 89.33 96.04 88.87
Element x y z (fractional)
Mn: 0.880 0.168 0.137
Mn: 0.370 0.129 0.611
Mn: 0.123 0.652 0.378
Mn: 0.874 0.356 0.628
Mn: 0.629 0.852 0.372
Mn: 0.138 0.858 0.876
Mn: 0.624 0.649 0.874
Mn: 0.374 0.353 0.137
F: 0.408 0.366 0.839
F: 0.855 0.895 0.921
O: 0.823 0.386 0.908
O: 0.596 0.115 0.170
O: 0.406 0.887 0.825
O: 0.654 0.106 0.576
O: 0.670 0.610 0.591
O: 0.345 0.885 0.417
O: 0.905 0.888 0.323
O: 0.172 0.613 0.094
O: 0.078 0.613 0.659
O: 0.157 0.118 0.080
O: 0.094 0.108 0.669
O: 0.925 0.395 0.350
O: 0.571 0.610 0.155
O: 0.329 0.388 0.410

#B
First-principles (GGA+U) data for a relaxed Mn4O7F crystal, as listed in the Materials Project.

abc: 6.657 6.657 6.970
angles: 65.58 65.58 96.30
Element x y z (fractional)
Mn: 0.800 0.802 0.646
Mn: 0.699 0.199 0.851
Mn: 0.702 0.195 0.349
Mn: 0.199 0.699 0.351
Mn: 0.802 0.800 0.146
Mn: 0.322 0.302 0.641
Mn: 0.302 0.322 0.141
Mn: 0.195 0.702 0.849
O: 0.961 0.136 0.391
O: 0.464 0.628 0.390
O: 0.607 0.273 0.606
O: 0.895 0.721 0.393
O: 0.095 0.766 0.616
O: 0.136 0.961 0.891
O: 0.540 0.870 0.607
O: 0.273 0.607 0.106
O: 0.227 0.401 0.888
O: 0.721 0.895 0.893
O: 0.401 0.227 0.388
O: 0.766 0.095 0.116
O: 0.870 0.540 0.107
O: 0.628 0.464 0.890
F: 0.345 0.050 0.120
F: 0.050 0.345 0.620

The energy of each structure relative to the most stable one, in meV per atom, is as follows: #A 0; #B 5.

#A
First-principles (GGA+U) data for a relaxed MoH4O5 crystal, as listed in the Materials Project.

abc: 14.185 10.644 11.227
angles: 89.33 90.00 90.00
Element x y z (fractional)
H: 0.451 0.710 0.887
H: 0.035 0.853 0.198
H: 0.072 0.662 0.944
H: 0.468 0.967 0.132
H: 0.978 0.717 0.887
H: 0.946 0.792 0.140
H: 0.462 0.347 0.187
H: 0.554 0.292 0.640
H: 0.091 0.571 0.221
H: 0.916 0.364 0.277
H: 0.049 0.210 0.387
H: 0.559 0.493 0.613
H: 0.532 0.033 0.868
H: 0.059 0.007 0.887
H: 0.909 0.429 0.779
H: 0.444 0.394 0.484
H: 0.944 0.106 0.016
H: 0.433 0.757 0.125
H: 0.549 0.290 0.113
H: 0.538 0.653 0.813
H: 0.539 0.033 0.364
H: 0.454 0.105 0.940
H: 0.054 0.003 0.382
H: 0.409 0.071 0.721
H: 0.461 0.967 0.636
H: 0.084 0.636 0.723
H: 0.572 0.838 0.556
H: 0.554 0.497 0.118
H: 0.039 0.467 0.136
H: 0.446 0.503 0.882
H: 0.535 0.647 0.302
H: 0.928 0.338 0.056
H: 0.947 0.116 0.531
H: 0.961 0.533 0.864
H: 0.428 0.162 0.444
H: 0.056 0.894 0.984
H: 0.556 0.606 0.516
H: 0.465 0.353 0.698
H: 0.951 0.790 0.613
H: 0.933 0.743 0.375
H: 0.965 0.147 0.802
H: 0.522 0.217 0.387
H: 0.446 0.708 0.360
H: 0.067 0.257 0.625
********

10. Initialization of the TYPO3 Backend

The backend request handler has its own boot() method, which performs yet more initialization and set up as needed. A general request to the backend will typically go through such important steps like:

  • checking backend access: Is it locked? Does it have proper SSL setup?

  • loading the full TCA

  • verifying and initializing the backend user